By: Prudence Okonna

Records of crystals, as found in the file:
____________
K3HgF8: theoretical powder diffractogram (copper Kα), based on DFT lattice parameters and positions (GGA-PBE).
No peak broadening, texture or thermal motion is included.

The 10 most intense peaks (10 to 90 degrees two-theta), by angle:
2θ/deg  I/Imax  h k l
15.11  27  0 0 2
16.49  88  1 0 1
20.77  21  1 1 0
25.79  100  1 1 2
27.16  16  1 0 3
34.02  17  2 1 1
40.56  18  2 1 3
42.27  25  2 2 0
42.97  48  2 0 4
50.18  30  3 1 2

Cell and atoms:
```
data_K3HgF8
_chemical_formula_sum 'K6 Hg2 F16'
_symmetry_space_group_name_H-M 'I 4/m m m'
_symmetry_Int_Tables_number 139
_symmetry_space_group_name_Hall '-I 4 2'
_cell_length_a 6.0475
_cell_length_b 6.0475
_cell_length_c 11.7278
_cell_angle_alpha 90.00
_cell_angle_beta 90.00
_cell_angle_gamma 90.00
loop_
_atom_site_label
_atom_site_fract_x
_atom_site_fract_y
_atom_site_fract_z
_atom_site_occupancy
K1 0.0000 0.0000 0.0000 1
K2 0.0000 0.5000 0.2500 1
Hg1 0.0000 0.0000 0.5000 1
F1 0.2163 0.2163 0.3888 1
```

=====

K3HgF5: theoretical powder diffractogram (copper Kα), based on DFT lattice parameters and positions (GGA-PBE).
No peak broadening, texture or thermal motion is included.

The 10 most intense peaks (10 to 90 degrees two-theta), by angle:
2θ/deg  I/Imax  h k l
13.09  50  0 0 2
17.35  70  1 1 0
21.80  74  1 1 2
24.63  31  2 0 0
26.36  32  0 0 4
27.99  100  2 0 2
35.11  38  2 2 0
36.39  46  2 0 4
41.70  44  3 1 2
44.43  31  2 2 4

Cell and atoms:
```
data_K3HgF5
_chemical_formula_sum 'K12 Hg4 F20'
_symmetry_space_group_name_H-M 'I 4/m c m'
_symmetry_Int_Tables_number 140
_symmetry_space_group_name_Hall '-I 4 2c'
_cell_length_a 7.2298
_cell_length_b 7.2298
_cell_length_c 13.5221
_cell_angle_alpha 90.00
_cell_angle_beta 90.00
_cell_angle_gamma 90.00
loop_
_atom_site_label
_atom_site_fract_x
_atom_site_fract_y
_atom_site_fract_z
_atom_site_occupancy
K1 0.0000 0.0000 0.2500 1
K2 0.1736 0.3264 0.0000 1
Hg1 0.0000 0.5000 0.2500 1
F1 0.0000 0.0000 0.0000 1
F2 0.1635 0.3365 0.3552 1
```

* * * * *

Entry 1:
Starting from a PBE-relaxed structure, the powder XRD pattern of Cu2Bi8Pb6S19 was simulated for λ = 1.5418 Å (Cu Kα).
Peak positions follow from Bragg's law for the DFT cell and can differ from measured ones.

Structure:
```
Cu2Bi8Pb6S19
1.0
13.712 -2.110 0.000
13.712 2.110 0.000
-13.557 0.000 15.700
Cu Bi Pb S
2 8 6 19
Cartesian
0.156 0.000 1.397
13.711 0.000 14.303
-7.329 0.000 14.058
-1.333 0.000 11.107
1.931 0.000 8.462
-3.228 0.000 15.037
17.095 0.000 0.663
11.935 0.000 7.238
15.200 0.000 4.593
21.196 0.000 1.641
-5.289 0.000 6.397
-2.126 0.000 3.504
5.054 0.000 5.423
8.812 0.000 10.276
15.993 0.000 12.196
19.156 0.000 9.303
-11.686 0.000 15.589
-6.331 0.000 11.406
-3.074 0.000 8.541
-0.307 0.000 5.886
2.798 0.000 3.552
5.646 0.000 1.077
9.417 0.000 1.801
0.339 0.000 13.172
3.625 0.000 10.449
6.933 0.000 7.850
10.242 0.000 5.251
13.528 0.000 2.528
4.449 0.000 13.899
8.220 0.000 14.623
11.068 0.000 12.148
14.174 0.000 9.814
16.941 0.000 7.159
20.198 0.000 4.294
25.552 0.000 0.111
```
____________
The records of crystals stop here:

In order to forestall the risk of fire outbreaks characterized by the dry season, the FCT Emergency Management Agency, FEMA, has extended its fire disaster response sensitization to the Kubwa axis of the Nation’s Capital.

The Acting Director, Forecasting Response, and Mitigation, FEMA,  Florence Wenegieme during a sensitization visit to the Maitama Ultra Modern Market, Kubwa also known as the Kubwa Village Market, on Thursday said the sensitization was a priority of the FCT Administration in order to create ample awareness among residents of the FCT and reduce the eventuality of fire outbreaks.

According to the Acting Director, the visit to the Market is a continuation of the dry season sensitization, based on the directive and support of the Minister of the FCT, Mallam Muhammad Musa Bello.
She added that the sensitization commenced in November 2022 and has been taken to different locations, especially markets.

Identifying some of the risk factors to be avoided, Wenegieme said storing and selling petroleum products in shops and under high-tension wires, burning refuse without supervision, putting on electrical appliances when not in use overnight, sleeping and cooking in the markets, using mobile phones close to Generators and other flammable products, among others could trigger fire outbreaks.

While commending the Market Association for putting up some mitigating measures, she, however, noted with dismay some of the practices noticed in and around the market such as the sale of petroleum of products under High-tension wires, and the burning of refuse without supervision that should be stopped forthwith.

Additionally, the Market Association needed to do more by providing additional fire extinguishers around the market to be able to meet up with the capacity of the market in the eventuality of any fire accident.

She also noted that from time to time, inspections will be carried out to monitor the activities of the market with the support of their stakeholders like the FCT Fire Service.
The Director, therefore, called on FCT residents to take caution during their daily activities by putting in place mitigating measures that could avert any form of fire outbreak, highlighting that they should make use of the 112 emergency toll-free numbers.

While carrying out the drills and simulations exercise using fire blankets and fire extinguishers, a Fire Superintendent in the FCT Fire Service from the Kubwa Division, Uwadoneh Hope Idorenyin, said as first responders, the people needed to learn the rudiments of putting out a fire in the case of any emergency; adding that having first Aid Emergency fire equipment was a necessity for every home/shop owner as well as offices and not a luxury.

Recall that there was a Fire Explosion on November 5, 2021, at the Kubwa Village Market, alleged to have been caused by a phone used by a kerosene seller, which left several shops burnt and people dead including the seller. The carnage continues to be a reference point for many marketers.